Input
<<<
(1)
Here is a relaxed structure of NdInTe2O8 from Alexandria. Energies are from PBE-GGA.

```
data_NdInTe2O8
_symmetry_space_group_name_H-M 'P 1'
_symmetry_Int_Tables_number 1
_symmetry_space_group_name_Hall 'P 1'
_cell_length_a 6.269
_cell_length_b 6.269
_cell_length_c 6.269
_cell_angle_alpha 108.27
_cell_angle_beta 108.27
_cell_angle_gamma 111.89
loop_
_atom_site_label
_atom_site_fract_x
_atom_site_fract_y
_atom_site_fract_z
Nd1 0.000 0.000 0.000
In1 0.750 0.250 0.500
Te1 0.250 0.750 0.500
Te2 0.500 0.500 0.000
O1 0.068 0.385 0.317
O2 0.068 0.750 0.683
O3 0.100 0.298 0.801
O4 0.250 0.932 0.317
O5 0.497 0.298 0.199
O6 0.615 0.932 0.683
O7 0.702 0.503 0.801
O8 0.702 0.900 0.199
```

VASP energy ... -5.887 eV per atom
Raw formation energy ... -138 kJ/mol of atoms

(2)
Here is a relaxed structure of PrSc3Tl4 from Alexandria. Energies are from PBE-GGA.

```
data_PrSc3Tl4
_symmetry_space_group_name_H-M 'P 1'
_symmetry_Int_Tables_number 1
_symmetry_space_group_name_Hall 'P 1'
_cell_length_a 10.437
_cell_length_b 7.433
_cell_length_c 5.217
_cell_angle_alpha 90.00
_cell_angle_beta 90.00
_cell_angle_gamma 90.00
loop_
_atom_site_label
_atom_site_fract_x
_atom_site_fract_y
_atom_site_fract_z
Pr1 0.000 0.000 0.000
Pr2 0.500 0.000 0.000
Sc1 0.000 0.500 0.000
Sc2 0.250 0.000 0.497
Sc3 0.250 0.500 0.496
Sc4 0.500 0.500 0.000
Sc5 0.750 0.000 0.503
Sc6 0.750 0.500 0.504
Tl1 0.000 0.266 0.500
Tl2 0.000 0.734 0.500
Tl3 0.250 0.266 0.996
Tl4 0.250 0.734 0.996
Tl5 0.500 0.266 0.500
Tl6 0.500 0.734 0.500
Tl7 0.750 0.266 0.004
Tl8 0.750 0.734 0.004
```

VASP energy ... -4.425 eV per atom
Formation energy from the elements ... -270 meV/atom

(3)
Here is a relaxed structure of SmEuSi from Alexandria. Energies are from PBE-GGA.

```
data_SmEuSi
_symmetry_space_group_name_H-M 'P 1'
_symmetry_Int_Tables_number 1
_symmetry_space_group_name_Hall 'P 1'
_cell_length_a 7.143
_cell_length_b 7.143
_cell_length_c 7.143
_cell_angle_alpha 90.00
_cell_angle_beta 90.00
_cell_angle_gamma 90.00
loop_
_atom_site_label
_atom_site_fract_x
_atom_site_fract_y
_atom_site_fract_z
Sm1 0.000 0.000 0.000
Sm2 0.000 0.500 0.500
Sm3 0.500 0.000 0.500
Sm4 0.500 0.500 0.000
Eu1 0.000 0.000 0.500
Eu2 0.000 0.500 0.000
Eu3 0.500 0.000 0.000
Eu4 0.500 0.500 0.500
Si1 0.250 0.250 0.750
Si2 0.250 0.750 0.250
Si3 0.750 0.250 0.250
Si4 0.750 0.750 0.750
```

VASP energy ... -7.181 eV per atom
Raw formation energy ... -36 kJ/mol of atoms

(4)
Here is a relaxed structure of DyReMo from Alexandria. Energies are from PBE-GGA.

```
data_DyReMo
_symmetry_space_group_name_H-M 'P 1'
_symmetry_Int_Tables_number 1
_symmetry_space_group_name_Hall 'P 1'
>>>

Work order
Next, duplicate the part of the block further above that starts with the line with "... -5.887" and stops after the one with "Sm1 0.000".

Completed
VASP energy ... -5.887 eV per atom
Raw formation energy ... -138 kJ/mol of atoms

(2)
Here is a relaxed structure of PrSc3Tl4 from Alexandria. Energies are from PBE-GGA.

```
data_PrSc3Tl4
_symmetry_space_group_name_H-M 'P 1'
_symmetry_Int_Tables_number 1
_symmetry_space_group_name_Hall 'P 1'
_cell_length_a 10.437
_cell_length_b 7.433
_cell_length_c 5.217
_cell_angle_alpha 90.00
_cell_angle_beta 90.00
_cell_angle_gamma 90.00
loop_
_atom_site_label
_atom_site_fract_x
_atom_site_fract_y
_atom_site_fract_z
Pr1 0.000 0.000 0.000
Pr2 0.500 0.000 0.000
Sc1 0.000 0.500 0.000
Sc2 0.250 0.000 0.497
Sc3 0.250 0.500 0.496
Sc4 0.500 0.500 0.000
Sc5 0.750 0.000 0.503
Sc6 0.750 0.500 0.504
Tl1 0.000 0.266 0.500
Tl2 0.000 0.734 0.500
Tl3 0.250 0.266 0.996
Tl4 0.250 0.734 0.996
Tl5 0.500 0.266 0.500
Tl6 0.500 0.734 0.500
Tl7 0.750 0.266 0.004
Tl8 0.750 0.734 0.004
```

VASP energy ... -4.425 eV per atom
Formation energy from the elements ... -270 meV/atom

(3)
Here is a relaxed structure of SmEuSi from Alexandria. Energies are from PBE-GGA.

```
data_SmEuSi
_symmetry_space_group_name_H-M 'P 1'
_symmetry_Int_Tables_number 1
_symmetry_space_group_name_Hall 'P 1'
_cell_length_a 7.143
_cell_length_b 7.143
_cell_length_c 7.143
_cell_angle_alpha 90.00
_cell_angle_beta 90.00
_cell_angle_gamma 90.00
loop_
_atom_site_label
_atom_site_fract_x
_atom_site_fract_y
_atom_site_fract_z
Sm1 0.000 0.000 0.000